Given:
-- begin --
1.
A plane-wave DFT calculation with PBE was carried out for a relaxed LaGe3Ir crystal. Values from VASP.

Formation enthalpy at 0 K in eV/atom: -0.7285
Energy in eV/atom: -6.2572

Structure (Quantum ESPRESSO input):
```
&SYSTEM
  ibrav = 0, nat = 10, ntyp = 3
/
ATOMIC_SPECIES
La 138.91 La.upf
Ge 72.64 Ge.upf
Ir 192.22 Ir.upf
CELL_PARAMETERS angstrom
4.476 0.000 0.000
0.000 4.476 0.000
0.000 0.000 10.187
ATOMIC_POSITIONS crystal
La 0.000 0.000 0.000
La 0.500 0.500 0.500
Ge 0.000 0.000 0.579
Ge 0.000 0.500 0.237
Ge 0.000 0.500 0.737
Ge 0.500 0.000 0.237
Ge 0.500 0.000 0.737
Ge 0.500 0.500 0.079
Ir 0.000 0.000 0.341
Ir 0.500 0.500 0.841
```


2.
A plane-wave DFT calculation with PBE was carried out for a relaxed LiSn crystal. Values from VASP.

Formation enthalpy at 0 K in eV/atom: -0.3259
Energy in eV/atom: -3.2851

Structure (Quantum ESPRESSO input):
```
&SYSTEM
  ibrav = 0, nat = 6, ntyp = 2
/
ATOMIC_SPECIES
Li 6.94 Li.upf
Sn 118.71 Sn.upf
CELL_PARAMETERS angstrom
5.181 0.000 0.000
0.000 3.224 0.000
-2.118 0.000 7.512
ATOMIC_POSITIONS crystal
Li 0.000 0.000 0.000
Li 0.232 0.000 0.668
Li 0.768 0.000 0.332
Sn 0.259 0.500 0.338
Sn 0.500 0.500 0.000
Sn 0.741 0.500 0.662
```

----------

A plane-wave DFT calculation with meta-GGA r2SCAN was carried out for a relaxed structure of Ti2CS.

Lattice parameters (Å, degrees): 3.2054 3.2054 11.2256 90.00 90.00 120.00
Positions (direct):
C1 0.0000 0.0000 0.5000
C2 0.0000 0.0000 0.0000
Ti1 0.3333 0.6667 0.0992
Ti2 0.3333 0.6667 0.4008
Ti3 0.6667 0.3333 0.5992
Ti4 0.6667 0.3333 0.9008
S1 0.6667 0.3333 0.2500
S2 0.3333 0.6667 0.7500

Calculated values
space-group type = P6_3/mmc, No. 194
calculated volume = 12.49 A^3/atom
spin magnetization = 0.0 μB per cell
ΔE_f = -5.61 eV per formula unit

A plane-wave DFT calculation with meta-GGA r2SCAN was carried out for a relaxed structure of U2CS.

Lattice parameters (Å, degrees): 6.8074 6.8074 6.8074 31.06 31.06 31.06
Positions (direct):
U1 0.2623 0.2623 0.2623
U2 0.7377 0.7377 0.7377
C1 0.0000 0.0000 0.0000
S1 0.5000 0.5000 0.5000

Calculated values
space-group type = R-3m, No. 166
calculated volume = 18.62 A^3/atom
spin magnetization = 4.2 μB per cell
ΔE_f = -4.11 eV per formula unit

A plane-wave DFT calculation with meta-GGA r2SCAN was carried out for a relaxed structure of Sc3TlC.

Lattice parameters (Å, degrees): 4.5442 4.5442 4.5442 90.00 90.00 90.00
Positions (direct):
Sc1 0.5000 0.0000 0.5000
Sc2 0.0000 0.5000 0.5000
Sc3 0.5000 0.5000 0.0000
C1 0.5000 0.5000 0.5000
Tl1 0.0000 0.0000 0.0000

Calculated values
space-group type = Pm-3m, No. 221
calculated volume = 18.77 A^3/atom
spin magnetization = 0.0 μB per cell
ΔE_f = -3.72 eV per formula unit

A plane-wave DFT calculation with meta-GGA r2SCAN was carried out for a relaxed structure of Ti5Si3C.

Lattice parameters (Å, degrees): 5.1563 7.4537 7.4537 120.00 90.00 90.00
Positions (direct):
Ti1 0.5000 0.3333 0.6667
Ti2 0.5000 0.6667 0.3333
Ti3 0.2500 0.7677 0.0000
Ti4 0.7500 0.2323 0.0000
Ti5 0.0000 0.3333 0.6667
Ti6 0.7500 0.0000 0.2323
Ti7 0.7500 0.7677 0.7677
Ti8 0.0000 0.6667 0.3333
Ti9 0.2500 0.0000 0.7677
Ti10 0.2500 0.2323 0.2323
C1 0.5000 0.0000 0.0000
C2 0.0000 0.0000 0.0000
Si1 0.2500 0.5935 0.5935
Si2 0.2500 0.4065 0.0000
Si3 0.7500 0.4065 0.4065
Si4 0.7500 0.0000 0.5935
Si5 0.2500 0.0000 0.4065
Si6 0.7500 0.5935 0.0000

Calculated values
space-group type = P6_3/mcm, No. 193
calculated volume = 13.78 A^3/atom
spin magnetization = 0.0 μB per cell
ΔE_f = -7.71 eV per formula unit

A plane-wave DFT calculation with meta-GGA r2SCAN was carried out for a relaxed structure of Y20Si12C.

Lattice parameters (Å, degrees): 14.6362 6.4287 8.4524 89.96 90.00 90.00
Positions (direct):
Y1 0.3787 0.2475 0.1213
Y2 0.6213 0.7525 0.8787
Y3 0.0000 0.2741 0.2651
Y4 0.8825 0.7275 0.3819
Y5 0.3787 0.7525 0.8787
Y6 0.8825 0.2725 0.6181
Y7 0.3369 0.5000 0.5000
Y8 0.6711 0.0000 0.5000
Y9 0.6631 0.5000 0.5000
Y10 0.8378 0.0000 0.0000
Y11 0.1175 0.2725 0.6181
Y12 0.8289 0.5000 0.0000
Y13 0.1622 0.0000 0.0000
-- stop --

Request:
Please search the contents further above for the word "Ti4" and repeat each line that has it.

Written answer:
Ti4 0.6667 0.3333 0.9008
Ti4 0.7500 0.2323 0.0000